Los AngelesIn Central America and the Caribbean, government agencies and nongovernmental organizations that serve at-risk youth are applying evidence-based and family-centric programming to prevent violence in hard-hit areas.
At the 2019 Conferência de Prevenção e Intervenção de Gangues em Los Angeles, Creative and its partners from El Salvador, Honduras and St. Kitts and Nevis shared their experiences learning in applying a violence prevention model adapted to meet the needs of their communities.
Each year youth program implementers, policiais, funcionários eleitos, civil society activists, former gang members turned community violence intervention workers and others from the United States and abroad gather at the conference to share evidence-based best practices and lessons learned in violence prevention and gang intervention work. This was the conference’s eighth year.
Creative’s model comprises two key parts: Primeiro, youth risk is measured using what’s called the Youth Service Eligibility Tool (YSET), a diagnostic originally developed by the City of Los Angeles’ Gang Reduction and Youth Development escritório. The YSET evaluates youth across a series of risk and protective factors at an individual, nível de pares e familiares; risk factors include behaviors and attitudes such as anti-social tendencies and impulsive risk taking. The more risk factors a youth present, the more likely he or she is to engage with the ecosystem of gangs and violence prevalent in many communities.
Segundo, youth diagnosed as being high-risk of engaging with gangs and violence participate in a counseling program alongside their families to reduce those factors identified by the YSET. The YSET is then administered again after six months to measure the impact of the intervention.

Creative has adapted and validated this model in high-violence areas in Central America and the Caribbean through several USAID-funded programs, explained Creative’s Crime and Violence Prevention Advisor Guillermo Cespsdes, former Deputy Mayor of Los Angeles.
In addition to using the model in its own programming, Céspedes disse, Creative has committed to institutionalizing and sharing it with government and nongovernmental partners so that they can better differentiate youth at varying levels of risk and deliver the right intervention for each.
“Creative has generated almost 30,000 YSET diagnostics between Honduras, El Salvador and the Caribbean,” he said during the May 13 presentation. "Além disso, it has developed processes to incorporate the diagnostic into the child protection systems of both Honduras and El Salvador.”
Ricardo Vladimir, Deputy Director of the Salvadoran Institute for the Integral Development of Children and Adolescents (ISNA), explained how his office has folded the YSET into its work with youth involved in the juvenile justice system.
“We didn’t have evidence as to whether we were doing our work well or poorly,"ele disse. “That’s where, thanks to USAID’s support, we were able to implement and verify our interventions, the good things we were doing and the bad things that we needed to correct.”

ISNA was supported by the USAID-funded Projeto de Prevenção ao Crime e à Violência through a grant to train staff on how to apply and analyze the YSET to better understand youth risk and measure the results of their own programming.
“For the government, the evaluation of our programs is still a real challenge,"ele disse. “But this helps us to have clarity on what factors we have to keep working on in order to improve.”
## Calculated crystals that have nothing to do with the entry
____________
# meta-GGA r2SCAN Li2GePd, relaxed
data_Li2GePd
_space_group_name_H-M_alt 'F -4 3 m'
_space_group_IT_number 216
_space_group_name_Hall 'F -4 2 3'
_cell_length_a 6.014
_cell_length_b 6.014
_cell_length_c 6.014
_cell_angle_alpha 90.00
_cell_angle_beta 90.00
_cell_angle_gamma 90.00
loop_
_atom_site_label
_atom_site_type_symbol
_atom_site_fract_x
_atom_site_fract_y
_atom_site_fract_z
Li1 Li 0.000 0.000 0.000
Li2 Li 0.250 0.250 0.250
Ge1 Ge 0.250 0.250 0.750
Pd1 Pd 0.000 0.000 0.500
# formation enthalpy at 0 K: -0.57 eV per atom
# calculated total energy: -175.524 eV per cell
# mass density: 5.89 Mg/m³


# meta-GGA r2SCAN LaErSe2, relaxed
data_LaErSe2
_space_group_name_H-M_alt 'R -3 m'
_space_group_IT_number 166
_space_group_name_Hall '-R 3 2"'
_cell_length_a 4.1053
_cell_length_b 4.1053
_cell_length_c 21.0053
_cell_angle_alpha 90.00
_cell_angle_beta 90.00
_cell_angle_gamma 120.00
loop_
_atom_site_label
_atom_site_type_symbol
_atom_site_fract_x
_atom_site_fract_y
_atom_site_fract_z
La1 La 0.0000 0.0000 0.0000
Er1 Er 0.0000 0.0000 0.5000
Se1 Se 0.0000 0.0000 0.2417
# formation enthalpy at 0 K: -2.10 eV per atom
# calculated total energy: -302.120 eV per cell
# mass density: 7.54 Mg/m³

=====

1.
Entry from Materials Project: a relaxed Ba2CdS3 crystal (GGA-PBE).

abc: 9.0680 4.3956 17.5050
angles: 90.00 90.00 90.00
Atoms (fractional coordinates):
Ba: 0.0806 0.2500 0.2159
Ba: 0.2347 0.2500 0.9581
Ba: 0.2653 0.7500 0.4581
Ba: 0.4194 0.7500 0.7159
Ba: 0.5806 0.2500 0.2841
Ba: 0.7347 0.2500 0.5419
Ba: 0.7653 0.7500 0.0419
Ba: 0.9194 0.7500 0.7841
Cd: 0.1211 0.2500 0.6312
Cd: 0.3789 0.7500 0.1312
Cd: 0.6211 0.2500 0.8688
Cd: 0.8789 0.7500 0.3688
S: 0.0164 0.2500 0.4035
S: 0.1217 0.7500 0.0723
S: 0.1812 0.2500 0.7749
S: 0.3188 0.7500 0.2749
S: 0.3783 0.2500 0.5723
S: 0.4836 0.7500 0.9035
S: 0.5164 0.2500 0.0965
S: 0.6217 0.7500 0.4277
S: 0.6812 0.2500 0.7251
S: 0.8188 0.7500 0.2251
S: 0.8783 0.2500 0.9277
S: 0.9836 0.7500 0.5965

Summary:
SG: Pnma (62)
Calculated formation energy: -1.856 eV per atom

---

2.
Entry from Materials Project: a relaxed Sm2MgSe4 crystal (GGA-PBE).

abc: 7.6265 8.8491 13.9210
angles: 80.60 84.43 89.95
Atoms (fractional coordinates):
Sm: 0.1315 0.4437 0.1986
Sm: 0.1331 0.9573 0.1948
Sm: 0.2588 0.1280 0.4992
Sm: 0.3648 0.3004 0.8030
Sm: 0.6352 0.6996 0.1970
Sm: 0.7412 0.8720 0.5008
Sm: 0.8669 0.0427 0.8052
Sm: 0.8685 0.5563 0.8014
Mg: 0.2509 0.6220 0.5044
Mg: 0.3665 0.8002 0.7975
Mg: 0.6335 0.1998 0.2025
Mg: 0.7491 0.3780 0.4956
Se: 0.0926 0.4098 0.4002
Se: 0.1087 0.8922 0.3972
Se: 0.1964 0.5459 0.8737
Se: 0.1986 0.0171 0.8734
Se: 0.3092 0.7191 0.1207
Se: 0.3353 0.2196 0.1254
Se: 0.3895 0.8414 0.6092
Se: 0.4098 0.3585 0.6009
Se: 0.5902 0.6415 0.3991
Se: 0.6105 0.1586 0.3908
Se: 0.6647 0.7804 0.8746
Se: 0.6908 0.2809 0.8793
Se: 0.8014 0.9829 0.1266
Se: 0.8036 0.4541 0.1263
Se: 0.8913 0.1078 0.6028
Se: 0.9074 0.5902 0.5998

Summary:
SG: P-1 (2)
Calculated formation energy: -1.761 eV per atom

---

3.
____________
Partners for prevention in Honduras
Like the partnership with ISNA in El Salvador, Creative also is working with child protection services and juvenile justice systems in Honduras, particularly through the National Institute for the Attention of Youth in Conflict with the Law (INAMI). In Honduras specifically, Creative and USAID worked closely with Arizona State University to adapt the YSET to the Honduran context, and created a new tool called the Instrumento de Medición de Comportamiento (IMC).
Orphan Helpers, a nonprofit organization and grantee of the USAID-funded Propor mais programa, receives referrals from INAMI to provide services to youth involved with the juvenile justice system as an alternative to detention.
At the Gang Conference, Orphan Helpers Counselor Regina Luna shared how her organization is not only applying the diagnostic, but also the family systems intervention, para jovens de alto risco, including those actively involved in gangs.
The diagnostic was applied to 68 youth referred to Orphan Helpers by INAMI, e 48 of them completed the intervention, in which trained counselors work hand in hand with the youth and their families to reduce risk factors, strengthen protective factors and build family cohesion.

“We help them understand what the position of the family is in supporting the youth so that he or she can complete their alternative measures with supervision of each one of the adults in the home,” Luna said.
Luna noted that in a major success for the program, five of the 27 participating active gang members decided to leave their gangs with support from their families.
Another Proponte Más grantee, CESAL, works with high-risk youth on the outskirts of Tegucigalpa and has also adopted the IMC and family counseling model.
Clinical Orientation Guide Pamela Sanchez said at the Gang Conference that the IMC was applied to about 1,600 famílias, dos quais 326 are participating in the family counseling program. She noted that the model has not only helped them identify which youth are most in need of services, but also to develop a group of family counselors who are thinking about the role of the family in violence prevention in a new way, focusing on the families’ strengths instead of their faults.
“The model and the program have taught us about the positive and about understanding that even though [the beneficiaries] live in a community with truly difficult conditions, where there is a nearly complete absence of the government, families can invest in themselves and remain united,"ela disse.
From Central America to the Caribbean
After the success of the diagnostic and family counseling in El Salvador and Honduras, the model was again tailored to a new context, in the Caribbean.
USAID Comunidade, Programa de Resiliência Familiar e Juvenil, which works in Saint Lucia, Santo. Kitts e Nevis e Guiana, is partnering with governments and NGOs to develop teams of trained family counselors who can work with families to reduce youth risk in 15 communities across the three countries.
Michele de la Coudray-Blake of the St. Kitts and Nevis Department of Community Development, Gender Affairs and Social Inclusion, Clinical Supervisor for the program in St. Kitts e Nevis, said at the Gang Conference that early results indicate that the approach is well-suited to respond to the unique needs of youth.
Between the islands of St. Kitts e Nevis, 67 families are participating in family counseling with a team of eight counselors. Coudray-Blake said a challenge has been getting the families to buy in to the program, particularly when many family structures are not clearly delineated and a non-parent relative often steps into the caretaker role.
No entanto, she noted that by building trust with the families and youth, counselors are empowering them to improve supervision, communication and accountability within the households.
“We’re hearing from the families, we’re hearing from the index youth, we’re hearing from the counselors that they see differences,"ela disse. “The families are responding positively to the fact that they get a different message from the family counselor. They are getting a message of strength and respect and resilience and tolerance.”
In sharing their experiences and successes at the Gang Conference, panelists demonstrated how an approach developed in the U.S. can be adapted to serve new populations of at-risk youth. Through the adaptation process along with training and capacity building, innovative ideas can be transferred to in-country partners and government agencies. This ensures the sustainability of evidence-based programming that doesn’t focus on changing a youth’s identity, but working within a family system to change risky behaviors.